### Exercise
Find the line further below that holds "0.1815 (multiplicity", then transcribe that line and all lines after it there.

### Input
........
DFT (GGA+U) results for a geometry-optimized V3HPb5O13 structure.

abc: 10.3612 10.3612 7.5634
angles: 90.00 90.00 120.00
Space group P6_3 (No. 173)
Symmetry-distinct sites (fractional):
V 0.0299 0.3993 0.0000 (multiplicity 6)
H 0.0000 0.0000 0.1924 (multiplicity 2)
Pb 0.0074 0.7561 0.0065 (multiplicity 6)
Pb 0.3333 0.6667 0.2553 (multiplicity 2)
Pb 0.3333 0.6667 0.7394 (multiplicity 2)
O 0.0000 0.0000 0.0634 (multiplicity 2)
O 0.0869 0.3369 0.8180 (multiplicity 6)
O 0.0964 0.3461 0.1815 (multiplicity 6)
O 0.1249 0.5951 0.9968 (multiplicity 6)
O 0.1635 0.6728 0.5032 (multiplicity 6)

Calculated values
- energy with MP2020 corrections (eV per cell) = -315.09
- energy of formation from the pure elements (eV/atom) = -2.001

----------

Below is a relaxed Ba2LiY2Fe4O10 crystal, with properties calculated at the GGA+U level.

- VASP energy (eV/atom) = -6.94
- size of the total moment (μB/cell) = 17.0
- calculated density (g/cm3) = 5.30
- V (A^3/atom) = 13.90
- formation energy (eV per formula unit) = -45.70
- energy above the most stable polymorph in this dataset (meV per atom) = 30

Cell lengths 3.9680, 8.2950, 8.0809 Å; angles 85.39, 89.43, 84.81 degrees
Last column: nearest neighbours and their distance in Å.
Positions (direct):
Ba: 0.9644 0.9580 0.5020  3 O 2.59-2.85
Ba: 0.0810 0.0729 0.0256  7 O 2.62-2.92, 1 Li 2.85
Li: 0.7344 0.8355 0.8768  3 O 1.85-1.92
Y: 0.9912 0.4989 0.0117  8 O 2.32-2.59
Y: 0.9827 0.4916 0.4802  7 O 2.32-2.58
Fe: 0.4614 0.7327 0.2302  4 O 2.04-2.11
Fe: 0.5316 0.2727 0.7519  5 O 1.92-2.05
Fe: 0.5203 0.2598 0.2738  4 O 2.03-2.15
Fe: 0.4374 0.6639 0.7296  4 O 1.94-2.06
O: 0.4538 0.6860 0.4888  2 Fe 1.94-2.09
O: 0.5138 0.3401 0.5104  2 Fe 1.99-2.07
O: 0.4619 0.6816 0.9821  1 Li 1.89, 2 Fe 2.06-2.08
O: 0.5148 0.3300 0.9944  2 Fe 2.05-2.29
O: 0.9422 0.6738 0.7409  1 Li 1.92, 2 Fe 1.96-2.02
O: 0.0074 0.3154 0.2562  2 Fe 2.03-2.05
O: 0.9849 0.6583 0.2348  2 Fe 2.04-2.11
O: 0.0196 0.3294 0.7557  2 Fe 2.03-2.04
O: 0.5393 0.0012 0.2575  2 Fe 2.15-2.30
O: 0.5911 0.0399 0.7806  1 Li 1.85, 1 Fe 1.92

----------

Entry 1:
This record from Materials Project describes a geometry-optimized Zr7Cu10 structure. The functional is r²SCAN.

Cell lengths 9.3098, 7.8566, 7.8566 Å; angles 72.37, 90.00, 90.00 degrees
Fractional positions:
Zr (0.1932, 0.2562, 0.6360)
Cu (0.4916, 0.3893, 0.7959)
Cu (0.9915, 0.0031, 0.5964)
Cu (0.2964, 0.6110, 0.5733)
Zr (0.7500, 0.9311, 0.4610)
Cu (0.0084, 0.8893, 0.2959)
Cu (0.6026, 0.8399, 0.0525)
Cu (0.2036, 0.1110, 0.0733)
Cu (0.5084, 0.7959, 0.3893)
Cu (0.7964, 0.0733, 0.1110)
Zr (0.2500, 0.4610, 0.9311)
Zr (0.5000, 0.4461, 0.4461)
Zr (0.2500, 0.9610, 0.4311)
Zr (0.0000, 0.2574, 0.2574)
Cu (0.7036, 0.5733, 0.6110)
Cu (0.2964, 0.3188, 0.2814)
Cu (0.7964, 0.7814, 0.8188)
Cu (0.2036, 0.8188, 0.7814)
Zr (0.6932, 0.1360, 0.7562)
Cu (0.1026, 0.5525, 0.3399)
Zr (0.0000, 0.6349, 0.6349)
Cu (0.9916, 0.2959, 0.8893)
Cu (0.7036, 0.2814, 0.3188)
Zr (0.5000, 0.1349, 0.1349)
Zr (0.8068, 0.6360, 0.2562)
Cu (0.5085, 0.5031, 0.0964)
Zr (0.3068, 0.7562, 0.1360)
Cu (0.8974, 0.3399, 0.5525)
Zr (0.0000, 0.9461, 0.9461)
Zr (0.5000, 0.7574, 0.7574)
Cu (0.4915, 0.0964, 0.5031)
Cu (0.3974, 0.0525, 0.8399)
Zr (0.7500, 0.4311, 0.9610)
Cu (0.0085, 0.5964, 0.0031)

Computed properties:
E_form: -0.186 eV/atom
total DFT energy (no corrections): -15.93 eV per atom


Entry 2:
This record from Materials Project describes a geometry-optimized ZrCu2 structure. The functional is r²SCAN.

Cell lengths 4.8326, 4.8326, 4.6075 Å; angles 90.00, 90.00, 122.08 degrees
Fractional positions:
Zr (0.2340, 0.2340, 0.7500)
Cu (0.1043, 0.4660, 0.2500)
Cu (0.4660, 0.1043, 0.2500)
Cu (0.5340, 0.8957, 0.7500)
Cu (0.8957, 0.5340, 0.7500)
Zr (0.7660, 0.7660, 0.2500)

Computed properties:
E_form: -0.119 eV/atom
total DFT energy (no corrections): -14.93 eV per atom


Entry 3:
This record from Materials Project describes a geometry-optimized DyEr3 structure. The functional is r²SCAN.
........

### Reply
O 0.0964 0.3461 0.1815 (multiplicity 6)
O 0.1249 0.5951 0.9968 (multiplicity 6)
O 0.1635 0.6728 0.5032 (multiplicity 6)

Calculated values
- energy with MP2020 corrections (eV per cell) = -315.09
- energy of formation from the pure elements (eV/atom) = -2.001

----------

Below is a relaxed Ba2LiY2Fe4O10 crystal, with properties calculated at the GGA+U level.

- VASP energy (eV/atom) = -6.94
- size of the total moment (μB/cell) = 17.0
- calculated density (g/cm3) = 5.30
- V (A^3/atom) = 13.90
- formation energy (eV per formula unit) = -45.70
- energy above the most stable polymorph in this dataset (meV per atom) = 30

Cell lengths 3.9680, 8.2950, 8.0809 Å; angles 85.39, 89.43, 84.81 degrees
Last column: nearest neighbours and their distance in Å.
Positions (direct):
Ba: 0.9644 0.9580 0.5020  3 O 2.59-2.85
Ba: 0.0810 0.0729 0.0256  7 O 2.62-2.92, 1 Li 2.85
Li: 0.7344 0.8355 0.8768  3 O 1.85-1.92
Y: 0.9912 0.4989 0.0117  8 O 2.32-2.59
Y: 0.9827 0.4916 0.4802  7 O 2.32-2.58
Fe: 0.4614 0.7327 0.2302  4 O 2.04-2.11
Fe: 0.5316 0.2727 0.7519  5 O 1.92-2.05
Fe: 0.5203 0.2598 0.2738  4 O 2.03-2.15
Fe: 0.4374 0.6639 0.7296  4 O 1.94-2.06
O: 0.4538 0.6860 0.4888  2 Fe 1.94-2.09
O: 0.5138 0.3401 0.5104  2 Fe 1.99-2.07
O: 0.4619 0.6816 0.9821  1 Li 1.89, 2 Fe 2.06-2.08
O: 0.5148 0.3300 0.9944  2 Fe 2.05-2.29
O: 0.9422 0.6738 0.7409  1 Li 1.92, 2 Fe 1.96-2.02
O: 0.0074 0.3154 0.2562  2 Fe 2.03-2.05
O: 0.9849 0.6583 0.2348  2 Fe 2.04-2.11
O: 0.0196 0.3294 0.7557  2 Fe 2.03-2.04
O: 0.5393 0.0012 0.2575  2 Fe 2.15-2.30
O: 0.5911 0.0399 0.7806  1 Li 1.85, 1 Fe 1.92

----------

Entry 1:
This record from Materials Project describes a geometry-optimized Zr7Cu10 structure. The functional is r²SCAN.

Cell lengths 9.3098, 7.8566, 7.8566 Å; angles 72.37, 90.00, 90.00 degrees
Fractional positions:
Zr (0.1932, 0.2562, 0.6360)
Cu (0.4916, 0.3893, 0.7959)
Cu (0.9915, 0.0031, 0.5964)
Cu (0.2964, 0.6110, 0.5733)
Zr (0.7500, 0.9311, 0.4610)
Cu (0.0084, 0.8893, 0.2959)
Cu (0.6026, 0.8399, 0.0525)
Cu (0.2036, 0.1110, 0.0733)
Cu (0.5084, 0.7959, 0.3893)
Cu (0.7964, 0.0733, 0.1110)
Zr (0.2500, 0.4610, 0.9311)
Zr (0.5000, 0.4461, 0.4461)
Zr (0.2500, 0.9610, 0.4311)
Zr (0.0000, 0.2574, 0.2574)
Cu (0.7036, 0.5733, 0.6110)
Cu (0.2964, 0.3188, 0.2814)
Cu (0.7964, 0.7814, 0.8188)
Cu (0.2036, 0.8188, 0.7814)
Zr (0.6932, 0.1360, 0.7562)
Cu (0.1026, 0.5525, 0.3399)
Zr (0.0000, 0.6349, 0.6349)
Cu (0.9916, 0.2959, 0.8893)
Cu (0.7036, 0.2814, 0.3188)
Zr (0.5000, 0.1349, 0.1349)
Zr (0.8068, 0.6360, 0.2562)
Cu (0.5085, 0.5031, 0.0964)
Zr (0.3068, 0.7562, 0.1360)
Cu (0.8974, 0.3399, 0.5525)
Zr (0.0000, 0.9461, 0.9461)
Zr (0.5000, 0.7574, 0.7574)
Cu (0.4915, 0.0964, 0.5031)
Cu (0.3974, 0.0525, 0.8399)
Zr (0.7500, 0.4311, 0.9610)
Cu (0.0085, 0.5964, 0.0031)

Computed properties:
E_form: -0.186 eV/atom
total DFT energy (no corrections): -15.93 eV per atom


Entry 2:
This record from Materials Project describes a geometry-optimized ZrCu2 structure. The functional is r²SCAN.

Cell lengths 4.8326, 4.8326, 4.6075 Å; angles 90.00, 90.00, 122.08 degrees
Fractional positions:
Zr (0.2340, 0.2340, 0.7500)
Cu (0.1043, 0.4660, 0.2500)
Cu (0.4660, 0.1043, 0.2500)
Cu (0.5340, 0.8957, 0.7500)
Cu (0.8957, 0.5340, 0.7500)
Zr (0.7660, 0.7660, 0.2500)

Computed properties:
E_form: -0.119 eV/atom
total DFT energy (no corrections): -14.93 eV per atom


Entry 3:
This record from Materials Project describes a geometry-optimized DyEr3 structure. The functional is r²SCAN.